-- Input --
~~~
A structure of composition C40H38Cl2N6O6STi. Source: the OMol25 dataset; level of theory: the ωB97M-V functional and the def2-TZVPD basis.

XYZ file:
```
94
Properties=species:S:1:pos:R:3:forces:R:3:mulliken_charge:R:1
Ti 0.98665 -0.41412 0.32582 0.9583 -0.2261 0.1730 -0.594
Cl 0.88312 -5.60043 4.94043 0.0129 0.0254 -0.0345 -0.287
C 1.32009 -4.60537 3.56476 -0.0286 -0.0379 0.0698 0.080
C 0.54238 -3.48618 3.28849 -0.0806 0.0021 -0.0205 -0.846
C 0.84239 -2.67574 2.19937 0.1728 -0.1026 -0.1387 0.248
N 0.19985 -1.49932 1.84597 -0.2396 -0.0442 0.2814 1.719
C -0.81920 -0.96090 2.59897 0.1037 -0.1676 0.0652 -0.608
O -1.62467 -1.59288 3.29931 -0.0899 0.0911 0.0212 -0.901
C -0.81279 0.50294 2.53019 0.0335 0.1403 -0.1521 0.413
C -1.69044 1.30788 3.25757 0.0354 -0.0935 0.0493 -0.860
C -1.53961 2.67485 3.26280 0.0160 0.1169 -0.0054 -0.369
C -0.45143 3.23820 2.52883 -0.0687 -0.0969 0.0380 -1.176
C 0.37745 2.38810 1.84075 -0.0011 0.0392 -0.0437 0.027
N 0.22079 1.05726 1.79391 -0.1188 -0.1492 -0.1498 0.369
C 1.94209 -3.01344 1.35480 -0.1231 0.1170 0.0312 -0.594
C 2.71603 -4.12432 1.66963 0.0414 -0.0205 0.0120 -0.472
C 2.40104 -4.91745 2.76883 0.0343 -0.0091 -0.0280 0.048
Cl 3.40471 -6.31446 3.10231 -0.0222 0.0302 -0.0068 -0.277
N 2.12205 -2.15618 0.27265 -0.0968 -0.0304 -0.0819 1.118
C 2.68072 -2.61499 -0.88869 0.0523 0.0171 -0.2336 -0.558
O 3.21149 -3.73949 -1.02233 -0.0253 0.0031 0.0614 -0.854
C 2.56151 -1.76027 -2.06549 0.0781 0.0309 0.1430 0.120
C 3.03448 -2.13989 -3.30626 -0.0074 0.0239 -0.1213 -0.489
C 2.48668 -1.62683 -4.48162 0.0492 -0.0507 0.0354 -1.243
C 1.22018 -0.99107 -4.33699 -0.0266 0.0168 0.0407 -0.626
C 0.77640 -0.58256 -3.12706 0.0454 0.0092 -0.0165 -0.411
N 1.77392 -0.51091 -2.03818 -0.3019 -0.1311 0.1645 2.005
H -0.30702 -3.25216 3.91033 0.0030 0.0069 -0.0059 0.608
H -2.46758 0.80966 3.82545 0.0125 -0.0014 0.0052 0.638
H -2.20993 3.30555 3.83575 0.0076 0.0051 -0.0009 0.457
H -0.25814 4.30286 2.52352 -0.0009 0.0064 0.0022 0.431
H 1.21982 2.76997 1.27015 0.0051 0.0008 0.0132 0.137
H 3.55554 -4.37970 1.04548 -0.0044 0.0005 0.0005 0.574
H 3.76250 -2.94275 -3.32942 0.0032 -0.0047 -0.0115 0.375
H 2.84886 -1.93270 -5.45423 0.0045 0.0006 -0.0008 0.315
H 0.53124 -0.94914 -5.17670 0.0025 0.0017 -0.0037 0.376
H -0.23970 -0.32120 -2.88370 -0.0002 -0.0148 0.0022 0.026
C -7.65182 0.64171 -0.09351 -0.0258 -0.0042 -0.0232 -1.182
C -6.63739 0.12899 0.91690 0.0463 0.0107 -0.0200 -0.800
N -5.31223 0.70586 0.70168 -0.0958 -0.1683 0.2268 0.491
C -4.76548 1.49646 1.80465 0.0368 -0.0101 -0.0916 0.106
C -5.46038 2.83859 1.95243 0.0047 0.0333 0.0152 -1.250
C -4.51275 0.04354 -0.18962 0.3015 0.1753 -0.1968 -0.068
O -4.88395 -0.94942 -0.79149 -0.1246 0.0013 -0.0331 -0.687
C -3.16672 0.65359 -0.46875 -0.1138 -0.1468 0.1169 -0.602
C -3.03555 1.96511 -0.88860 -0.0343 0.1272 -0.0863 0.243
C -1.76897 2.46480 -1.18431 -0.0265 -0.0899 0.1563 -1.600
C -0.68563 1.63603 -0.97697 -0.0947 0.1645 -0.3980 -0.133
N -0.81130 0.37657 -0.55892 -0.1251 0.0249 -0.1088 1.802
C -2.02565 -0.12673 -0.32697 -0.0210 0.0941 0.1007 -0.765
H -8.62830 0.18031 0.07024 -0.0004 0.0052 0.0071 0.414
H -7.32505 0.39618 -1.10403 0.0084 -0.0071 0.0077 0.286
H -7.76232 1.72522 -0.01934 -0.0001 0.0001 0.0008 0.261
H -6.56115 -0.95692 0.84434 0.0061 0.0002 0.0110 0.446
H -6.94476 0.37823 1.93384 -0.0138 0.0196 -0.0100 0.444
H -3.69998 1.64529 1.65258 -0.0251 -0.0130 -0.0297 -0.406
H -4.85379 0.91202 2.72686 -0.0349 0.0218 0.0127 0.459
H -5.32881 3.43972 1.05072 0.0071 -0.0026 0.0004 0.228
H -5.03244 3.38611 2.79360 0.0018 -0.0003 -0.0039 0.394
H -6.53232 2.72466 2.13067 -0.0047 -0.0087 0.0025 0.338
H -3.91730 2.58737 -0.99561 0.0074 -0.0060 -0.0012 0.514
H -1.61718 3.47401 -1.53891 -0.0266 0.0101 0.0072 0.438
H 0.32903 1.97375 -1.16992 -0.0205 0.0125 0.0265 0.197
H -2.05848 -1.16362 -0.02352 -0.0630 0.0068 0.0004 0.496
C 4.35566 1.82647 1.76172 0.0499 -0.0332 -0.0374 -1.513
C 3.29420 0.73962 1.62986 0.0322 0.1333 0.0232 0.411
O 3.14214 -0.07631 2.52697 0.0351 -0.0146 0.0394 -0.580
~~~

-- Job --
Please search the rows further up for the word "Cl" and quote each line that has it.

-- Result --
Cl 0.88312 -5.60043 4.94043 0.0129 0.0254 -0.0345 -0.287
Cl 3.40471 -6.31446 3.10231 -0.0222 0.0302 -0.0068 -0.277